_What to do_
Your job: filter the contents further down: keep the lines with the word "is".
_Input_
Entry from the Alexandria database: a relaxed structure of CrRe2Br (GGA-PBE).

CIF file:
```
data_CrRe2Br
_cell_length_a 2.8773
_cell_length_b 2.8773
_cell_length_c 25.5612
_cell_angle_alpha 90.00
_cell_angle_beta 90.00
_cell_angle_gamma 120.00
_space_group_name_H-M_alt 'R -3 m'
_space_group_IT_number 166
_space_group_name_Hall '-R 3 2"'
loop_
_atom_site_label
_atom_site_fract_x
_atom_site_fract_y
_atom_site_fract_z
Cr1 0.0000 0.0000 0.0000
Re1 0.0000 0.0000 0.2559
Br1 0.0000 0.0000 0.5000
```

Summary:
The uncorrected formation energy is 2.86 eV per formula unit. The electronic total energy is -8.334 eV per atom. Its distance to the lowest polymorph of the same formula is 0.1444 eV/atom. For the density of states at the Fermi level, the calculation gives 7.13 states/eV/cell. As for the total magnetic moment: 0.0 μB/f.u.

Entry from the Alexandria database: a relaxed structure of CrReBr2 (GGA-PBE).

CIF file:
```
data_CrReBr2
_cell_length_a 3.851
_cell_length_b 3.851
_cell_length_c 11.196
_cell_angle_alpha 90.00
_cell_angle_beta 90.00
_cell_angle_gamma 90.00
_space_group_name_H-M_alt 'I -4 m 2'
_space_group_IT_number 119
_space_group_name_Hall 'I -4 -2'
loop_
_atom_site_label
_atom_site_fract_x
_atom_site_fract_y
_atom_site_fract_z
Cr1 0.000 0.000 0.000
Re1 0.000 0.500 0.750
Br1 0.000 0.000 0.500
Br2 0.000 0.500 0.250
```

Summary:
The uncorrected formation energy is 4.69 eV per formula unit. The electronic total energy is -5.181 eV per atom. Its distance to the lowest polymorph of the same formula is 0.9821 eV/atom. For the density of states at the Fermi level, the calculation gives 4.74 states/eV/cell. As for the total magnetic moment: 1.2 μB/f.u.

Entry from the Alexandria database: a relaxed structure of CrReBr2 (GGA-PBE).

CIF file:
```
data_CrReBr2
_cell_length_a 6.212
_cell_length_b 8.765
_cell_length_c 3.320
_cell_angle_alpha 90.00
_cell_angle_beta 117.50
_cell_angle_gamma 90.00
_space_group_name_H-M_alt 'C 1 2/m 1'
_space_group_IT_number 12
loop_
_space_group_symop_operation_xyz
'x,y,z'
'-x,-y,-z'
'-x,y,-z'
'x,-y,z'
'x+1/2,y+1/2,z'
'-x+1/2,-y+1/2,-z'
'-x+1/2,y+1/2,-z'
'x+1/2,-y+1/2,z'
loop_
_atom_site_label
_atom_site_fract_x
_atom_site_fract_y
_atom_site_fract_z
Cr1 0.000 0.000 0.000
Re1 0.000 0.500 0.000
Br1 0.250 0.250 0.000
```

Summary:
The uncorrected formation energy is 4.11 eV per formula unit. The electronic total energy is -5.327 eV per atom. Its distance to the lowest polymorph of the same formula is 0.8365 eV/atom. For the density of states at the Fermi level, the calculation gives 4.48 states/eV/cell. As for the total magnetic moment: 1.8 μB/f.u.


## Pr8Ga2Cu (PBE-GGA)

Data for crystalline Pr8Ga2Cu at its relaxed geometry.

Cell and atoms, written as CIF:
```
data_Pr8Ga2Cu
_chemical_formula_sum 'Pr16 Ga4 Cu2'
_symmetry_space_group_name_H-M 'C 1 2/m 1'
_symmetry_Int_Tables_number 12
_symmetry_space_group_name_Hall '-C 2y'
_cell_length_a 19.112
_cell_length_b 5.117
_cell_length_c 6.937
_cell_angle_alpha 90.00
_cell_angle_beta 103.89
_cell_angle_gamma 90.00
loop_
_atom_site_label
_atom_site_fract_x
_atom_site_fract_y
_atom_site_fract_z
Pr1 0.019 0.000 0.279
Pr2 0.093 0.500 0.968
Pr3 0.156 0.500 0.479
Pr4 0.209 0.000 0.812
Ga1 0.184 0.000 0.246
Cu1 0.000 0.500 0.500
```

Calculated values
Magnetic moment, μB/f.u.: 0.00
E_tot, eV/atom: -4.608
Excess energy over the best structure of this formula in the dataset, eV/atom: 0.000
DFT formation energy, meV per atom: -209
_Solution_
The uncorrected formation energy is 2.86 eV per formula unit. The electronic total energy is -8.334 eV per atom. Its distance to the lowest polymorph of the same formula is 0.1444 eV/atom. For the density of states at the Fermi level, the calculation gives 7.13 states/eV/cell. As for the total magnetic moment: 0.0 μB/f.u.
The uncorrected formation energy is 4.69 eV per formula unit. The electronic total energy is -5.181 eV per atom. Its distance to the lowest polymorph of the same formula is 0.9821 eV/atom. For the density of states at the Fermi level, the calculation gives 4.74 states/eV/cell. As for the total magnetic moment: 1.2 μB/f.u.
The uncorrected formation energy is 4.11 eV per formula unit. The electronic total energy is -5.327 eV per atom. Its distance to the lowest polymorph of the same formula is 0.8365 eV/atom. For the density of states at the Fermi level, the calculation gives 4.48 states/eV/cell. As for the total magnetic moment: 1.8 μB/f.u.